Excerpt =
┌──
Starting from the GGA-PBE geometry in Alexandria, the X-ray diffraction stick pattern of BaCe4Se8 was simulated for Cu Kα X-rays.
Neutral-atom scattering factors, no anomalous dispersion.

The 6 most intense peaks (2θ from 15° to 90°), low angle first:
2θ 23.9, rel. 33
2θ 26.4, rel. 45
2θ 26.7, rel. 92
2θ 33.0, rel. 52
2θ 33.6, rel. 100
2θ 42.1, rel. 60

Structural model:
Cell: 8.5891 8.5891 10.5989 Å, 126.28 126.28 60.18°
Sites, in units of the cell vectors:
Ba  0.0000  0.0000  0.0000
Ce  0.2544  0.7456  0.5000
Ce  0.2722  0.2722  0.5417
Ce  0.7278  0.7278  0.4583
Ce  0.7456  0.2544  0.5000
Se  0.0025  0.0025  0.3180
Se  0.0047  0.4652  0.3015
Se  0.4652  0.0047  0.3015
Se  0.4749  0.4749  0.2916
Se  0.5251  0.5251  0.7084
Se  0.5348  0.9953  0.6985
Se  0.9953  0.5348  0.6985
Se  0.9975  0.9975  0.6820

=====

Starting from a structure optimized by DFT (PBE), the PXRD pattern of HfTi2Zn6 was simulated for Cu Kα, 1.54184 Å.
Kinematic intensities with the Lorentz-polarization factor, no thermal factor.

Atomic structure:
Unit cell a=7.2426 b=7.2426 c=7.2426 alpha=145.34 beta=133.56 gamma=59.23
Positions (direct):
Hf 0.0000 0.0000 0.0000
Ti 0.3108 0.8108 0.5000
Ti 0.5186 0.0186 0.5000
Zn 0.1757 0.4096 0.7661
Zn 0.3631 0.6121 0.7510
Zn 0.4612 0.2125 0.2487
Zn 0.6435 0.4096 0.2339
Zn 0.8611 0.6121 0.2490
Zn 0.9637 0.2125 0.7513

The 12 most intense peaks (10 to 90 degrees two-theta), sorted by position:
Position (°2θ)  I_rel
14.07  32.0
17.05  19.9
26.35  19.9
29.57  26.9
34.49  20.3
38.47  100.0
41.52  89.0
41.88  44.8
42.75  33.0
54.24  18.6
61.39  21.6
80.46  22.7


Starting from a structure optimized by DFT (PBE), the PXRD pattern of HfTiZn4 was simulated for Cu Kα, 1.54184 Å.
Kinematic intensities with the Lorentz-polarization factor, no thermal factor.

Atomic structure:
Unit cell a=3.0058 b=4.3131 c=7.4810 alpha=90.00 beta=90.00 gamma=90.00
Positions (direct):
Hf 0.0000 0.0000 0.0000
Ti 0.0000 0.5000 0.5000
Zn 0.5000 0.0000 0.3378
Zn 0.5000 0.0000 0.6622
Zn 0.5000 0.5000 0.1720
Zn 0.5000 0.5000 0.8280

The 12 most intense peaks (10 to 90 degrees two-theta), sorted by position:
Position (°2θ)  I_rel
11.83  28.2
20.59  9.6
23.81  8.3
31.66  8.6
32.09  7.4
38.43  100.0
41.86  75.6
58.12  28.9
61.72  7.7
74.16  27.3
76.45  11.9
77.38  23.1


Starting from a structure optimized by DFT (PBE), the PXRD pattern of HfTi3Zn8 was simulated for Cu Kα, 1.54184 Å.
Kinematic intensities with the Lorentz-polarization factor, no thermal factor.

Atomic structure:
Unit cell a=5.1162 b=5.1162 c=8.2159 alpha=90.00 beta=90.00 gamma=120.00
Positions (direct):
Hf 0.0000 0.0000 0.0000
Ti 0.0000 0.0000 0.3699
Ti 0.6667 0.3333 0.5001
Ti 0.6667 0.3333 0.8622
Zn 0.1617 0.3234 0.6815
Zn 0.1617 0.8383 0.6815
Zn 0.3333 0.6667 0.4344
Zn 0.3333 0.6667 0.9332
Zn 0.5052 0.0105 0.1860
Zn 0.5052 0.4948 0.1860
Zn 0.6766 0.8383 0.6815
Zn 0.9895 0.4948 0.1860

The 12 most intense peaks (10 to 90 degrees two-theta), sorted by position:
Position (°2θ)  I_rel
10.77  22.5
20.04  17.0
22.80  27.3
35.08  32.2
38.65  77.6
41.59  100.0
42.25  92.1
46.58  21.6
65.31  27.1
67.38  22.6
71.48  27.4
74.13  25.3


Starting from a structure optimized by DFT (PBE), the PXRD pattern of HfTi4Zn was simulated for Cu Kα, 1.54184 Å.
Kinematic intensities with the Lorentz-polarization factor, no thermal factor.

Atomic structure:
Unit cell a=2.9952 b=2.9952 c=11.8132 alpha=90.00 beta=90.00 gamma=90.00
Positions (direct):
Hf 0.0000 0.0000 0.0000
Ti 0.0000 0.0000 0.3476
Ti 0.0000 0.0000 0.6524
Ti 0.5000 0.5000 0.1861
Ti 0.5000 0.5000 0.8139
Zn 0.5000 0.5000 0.5000

The 12 most intense peaks (10 to 90 degrees two-theta), sorted by position:
Position (°2θ)  I_rel
15.00  26.9
30.80  22.6
33.55  14.4
37.73  100.0
42.69  36.5
45.50  7.6
46.10  12.1
61.96  11.4
64.63  16.9
74.88  24.5
79.77  7.3
80.60  8.8

=====

1.
The following is a theoretical powder diffraction line list of NaTmGeO4. It was derived from the GGA-PBE geometry in the Materials Project, using Cu Kα, 1.54184 Å.
└──

Exercise =
Work out how many lines further above have the word "gamma" in them; a number is enough.

Done =
4